The reader should type out the whole of the notes further below with every line break kept.

~~~
First-principles (PBE) data for crystalline TeMoWSe2S at its relaxed geometry, as listed in the Materials Project.

Cell: 3.3407 3.3407 38.0775 Å, 90.00 90.00 120.00°
Space group P3m1 (No. 156)
Symmetry-distinct sites (fractional):
Te 0.0000 0.0000 0.0000 (multiplicity 1)
Te 0.0000 0.0000 0.0996 (multiplicity 1)
Mo 0.6667 0.3333 0.0498 (multiplicity 1)
Mo 0.6667 0.3333 0.6741 (multiplicity 1)
W 0.0000 0.0000 0.2377 (multiplicity 1)
W 0.0000 0.0000 0.8620 (multiplicity 1)
Se 0.0000 0.0000 0.6303 (multiplicity 1)
Se 0.0000 0.0000 0.7179 (multiplicity 1)
Se 0.6667 0.3333 0.1937 (multiplicity 1)
Se 0.6667 0.3333 0.2817 (multiplicity 1)
S 0.6667 0.3333 0.8219 (multiplicity 1)
S 0.6667 0.3333 0.9020 (multiplicity 1)

Summary:
E above lowest polymorph = 0.001 eV per atom
M_tot = 0.002 μB/f.u.
Formation enthalpy at 0 K = -623 meV per atom
~~~

First-principles (PBE) data for crystalline TeMoWSe2S at its relaxed geometry, as listed in the Materials Project.

Cell: 3.3407 3.3407 38.0775 Å, 90.00 90.00 120.00°
Space group P3m1 (No. 156)
Symmetry-distinct sites (fractional):
Te 0.0000 0.0000 0.0000 (multiplicity 1)
Te 0.0000 0.0000 0.0996 (multiplicity 1)
Mo 0.6667 0.3333 0.0498 (multiplicity 1)
Mo 0.6667 0.3333 0.6741 (multiplicity 1)
W 0.0000 0.0000 0.2377 (multiplicity 1)
W 0.0000 0.0000 0.8620 (multiplicity 1)
Se 0.0000 0.0000 0.6303 (multiplicity 1)
Se 0.0000 0.0000 0.7179 (multiplicity 1)
Se 0.6667 0.3333 0.1937 (multiplicity 1)
Se 0.6667 0.3333 0.2817 (multiplicity 1)
S 0.6667 0.3333 0.8219 (multiplicity 1)
S 0.6667 0.3333 0.9020 (multiplicity 1)

Summary:
E above lowest polymorph = 0.001 eV per atom
M_tot = 0.002 μB/f.u.
Formation enthalpy at 0 K = -623 meV per atom